Northwest Partnership Program Financial Aid Third Party Billing
If a third party such as an employer, government agency, or other sponsoring agency, will be paying all or a portion of the student’s educational expenses directly to Northwest University (NU) on the student’s behalf, and the third party requires an invoice or itemized statement from Student Financial Services (SFS) the following steps must occur.
- An Education Authorization from the third party must be received by SFS on or before the last day payment is due for the semester or the add/drop period—whichever is earlier.
- The Northwest University Third Party Billing Form must be completed and submitted to Student Financial Services.
Examples of Third Party Payment Sponsors at Northwest University: Boeing, Verizon, UPS, Dept. of Health and Human Services, all Active Duty Military, etc.
Once the above items have been received the University will submit an invoice to the third party listed on the forms above.
Please be aware the amount received from the third party will, in most cases, impact the amount of other financial aid you are eligible to receive.
Third Party/Billing Authorization
An authorization documents a sponsor’s commitment to pay designated educational expenses and begins the University’s invoice process.
A third party authorization may be a voucher, letter of credit, training plan, or tuition assistance form, and must be signed by an officer of the organization. ANY restrictions or contingencies on the authorization are unacceptable. For instance, if the agency requires grade or transcript review before paying, the University will not authorize third party billing. In such cases, the student must pay the full amount owed by the required payment due date given to you by your Student Financial Services Counselor and then must seek reimbursement from the organization/company.
It is the student’s responsibility to ensure that authorizations are received by Student Financial Services on or before the last day payment is due for the semester or the add/drop period for each term—whichever is earlier, (in some cases, each course*) to avoid late fees. Late fees will be assessed if forms are received after the add/drop period.
The authorization must be printed on company letterhead and must contain the following:
- Student's full name (first and last) and NU student id number
- If applicable, voucher id, or other billing codes
- Amount of the sponsorship
- Fees and charges that will be paid by the third party, such as tuition, housing, travel fees, program fees
- ID and title of courses that will be covered by the third party
- Term or duration of program, exact start and end dates of the covered period (If the third party wishes to continue payment after the end date, a new authorization must be submitted)
- Name, billing email, and telephone number of the contact person at the company/organization that is responsible for payment
- Any special billing instructions that specify what they will pay, the period of coverage, and billing information.
*Boeing Learning Together Program (LTP) — Students enrolled as Graduate or in the Northwest Partnership Program will need to submit a voucher by the end of each add/drop period for each course enrolled.
U.S. Government Agency, Army, Air Force, etc. — Please contact your branch education counselor. Then, once you have your Voucher / Tuition Assistance Form, please forward it to SFS.
You can email your vouchers/authorizations to Cristhian Alvarado in Student Financial Services at
Timing of University Invoice
Third party billing statements, invoices, and itemized statements are prepared after the add/drop period to limit changes that might impact the amount due for tuition and fees. Billing statements can be emailed, mailed, or faxed directly to the sponsoring agency.
Third Party Payment Delayed or Not Received
Sponsors are expected to remit payment within 30 days of the billing due date of the invoice. If for any reason Northwest University does not receive payment from your sponsor/organization/company for the invoiced charges, within 60 days of the billing date, you will be responsible for the balance on your account including late fees.
Reimbursement to Student, Not Northwest University
Due to Federal regulations, third party payments are subject to the same federal reporting requirements as other financial aid. You will need to provide the following:
- Complete the Third Party Billing Application. Be sure to answer the question: Do they reimburse you directly or send funds to NU?
- Name of your third party or employer and the tuition reimbursement program.
- How much do they reimburse per course, term, year, or academic year? How much will you be receiving?
- Is there is a limit to how much will be reimbursed?
Tuition and Fees Due
Unrelated to this article: calculated molecules:
ORCA calculation (ωB97M-V with the def2-TZVPD basis set) on an isolated molecule of C18H20BrN3O4.

Computed properties:
SMILES string = COc1ccc(N2CCN(C(=O)CNC(=O)c3ccc(Br)o3)CC2)cc1
Energy above the lowest of the compared OMol25 structures with the same formula, charge and spin = 0.0 kJ/mol
Energy = -3737.14899 hartree
Highest occupied orbital energy = -0.2770 Eh
HOMO-LUMO gap = 8.139 eV

ORCA input file:
```
! RIJCOSX wB97M-V def2-TZVPD def2/J DEFGRID3
* xyz 0 1
C 3.9456 -2.5373 0.9525
O 2.7786 -2.0241 1.5497
C 1.7145 -1.7324 0.7382
C 1.7803 -1.5901 -0.6430
C 0.6342 -1.3275 -1.3685
C -0.6108 -1.2080 -0.7511
C -0.6579 -1.3040 0.6411
C 0.4853 -1.5598 1.3697
H 0.4432 -1.6488 2.4443
H -1.5901 -1.1825 1.1711
N -1.7490 -1.0889 -1.5586
C -3.0445 -1.4802 -1.0495
H -2.9082 -2.1797 -0.2265
H -3.5696 -2.0090 -1.8552
C -3.8823 -0.2539 -0.6166
N -3.0022 0.8832 -0.4352
C -2.7824 1.3409 0.8095
O -3.3215 0.8532 1.7885
C -1.8069 2.5114 0.9930
N -0.4538 2.0277 1.1540
C 0.4939 2.1803 0.2020
O 0.2883 2.7391 -0.8603
C 1.8167 1.6494 0.5786
C 2.3682 1.2899 1.7845
C 3.7025 0.9180 1.5251
C 3.8537 1.0797 0.1774
O 2.7387 1.5231 -0.4006
Br 5.3185 0.7757 -0.9307
H 4.4382 0.5747 2.2218
H 1.8964 1.2949 2.7452
H -0.2733 1.4451 1.9551
H -1.8228 3.2137 0.1597
H -2.1083 3.0258 1.9107
C -2.3660 1.3027 -1.6648
H -1.5226 1.9582 -1.4619
H -3.0943 1.8486 -2.2778
C -1.8602 0.0501 -2.4358
H -0.8931 0.2719 -2.8838
H -2.5606 -0.2138 -3.2346
H -4.3995 -0.4360 0.3254
H -4.6171 0.0031 -1.3859
H 0.7036 -1.2474 -2.4425
H 2.7163 -1.7016 -1.1688
H 4.5849 -2.8512 1.7764
H 3.7217 -3.4001 0.3179
H 4.4737 -1.7839 0.3603
*
```

These are the Löwdin partial charges, in e, on atoms 1 to 6:
1. C -0.09
2. O -0.10
3. C -0.30
4. C -0.02
5. C 0.00
6. C -0.23

ORCA calculation (ωB97M-V with the def2-TZVPD basis set) on an isolated molecule of C13H13NO in a non-equilibrium geometry.

Computed properties:
Energy above the lowest of the compared OMol25 structures with the same formula, charge and spin = 784.9 kJ/mol
Energy = -632.90825 hartree
Highest occupied orbital energy = -0.3147 Eh
HOMO-LUMO gap = 9.216 eV

ORCA input file:
```
! RIJCOSX wB97M-V def2-TZVPD def2/J DEFGRID3
* xyz 0 1
C 2.3880 -3.5389 -0.8968
C 1.0437 -3.9431 -0.8024
C 2.7635 -2.2465 -0.6465
C 0.1274 -2.9680 -0.5773
C 1.8592 -1.2779 -0.2003
C 0.5197 -1.6726 -0.2318
C -0.5610 -0.7511 0.0387
C 0.3628 2.0646 -0.9572
C 0.7528 2.0660 0.5520
C -2.2109 2.3995 1.7026
C -2.7901 2.4528 0.2967
C -0.4267 1.4001 0.0774
C -1.7905 1.4145 0.6268
N -1.7533 -0.9286 0.2925
O -2.5363 0.1387 0.5841
H 3.2892 -4.2359 -1.0909
H 0.7348 -4.9054 -0.9894
H 3.7805 -1.8076 -0.7307
H -0.8547 -3.2120 -0.6836
H 2.3850 -0.3911 0.0669
H 0.1399 3.0682 -1.3228
H 0.9238 1.4434 -1.4980
H 1.6583 1.5797 0.6945
H 0.7881 3.0896 0.9910
H -1.4340 3.0468 2.0206
H -2.8064 2.1713 2.6583
H -3.7950 2.2421 0.2473
H -2.5576 3.3014 -0.2217
*
```

These are the Löwdin partial charges, in e, on atoms 1 to 6:
1. C -0.09
2. C -0.06
3. C -0.11
4. C -0.03
5. C -0.02
6. C -0.18
Tuition and fees are due by the payment due date given by your Student Financial Services Counselor to avoid late fees or administrative removal from the semester. The third party billing payment is due 30 days from the date of invoicing. If payment from the third party is not received within 60 days of the invoice date, late fees will not be reversed from your account and you will be responsible for the past due balance in full including late fees.
You must pay your portion of the bill (net balance owed) by the due date; if you do not, your account will be assessed late payment fees and, in some cases, you can be administratively unenrolled from classes.
If your third party payment has not yet been received when it is time for you to register for the next term, it may be advisable to pay your account in full and then be reimbursed by your employer. A balance on your account will block registration for future terms.
_Calculated molecules that have nothing to do with the article_
┌──
No. 1
DFT (the ωB97M-V functional and the def2-TZVPD basis) results for C5H20F2N10O5Y as an isolated structure in a non-equilibrium geometry.

Results
Max |F| (eV/A): 6.35
E_LUMO (Ha): -0.164
Total charge: +1
E_HOMO (eV): -10.98
Orbital gap (eV): 6.51
ΔE to the lowest compared entry with this formula, charge and spin (eV): 0.0000

Geometry (Å):
Y  23.394  29.153  12.067
F  22.490  28.599  9.981
F  21.289  30.078  12.242
C  21.673  26.287  12.257
O  22.153  27.274  12.852
N  21.508  26.169  10.935
N  21.380  25.131  12.898
H  21.804  26.973  10.386
H  21.043  25.377  10.538
H  20.956  24.408  12.350
H  21.484  24.996  13.888
C  23.603  32.450  10.176
O  23.292  31.333  10.639
N  24.613  32.646  9.332
N  22.959  33.568  10.569
H  24.445  33.514  8.849
H  25.167  31.862  9.040
H  22.282  33.511  11.312
H  23.154  34.486  10.210
C  19.539  30.152  8.033
O  18.644  30.791  7.463
N  20.603  29.683  7.335
N  19.542  29.983  9.370
H  21.307  29.237  7.896
H  20.518  29.595  6.340
H  18.748  30.465  9.755
H  20.419  29.609  9.692
C  25.397  26.386  10.640
O  24.808  27.372  11.136
N  24.694  25.299  10.276
N  26.732  26.174  10.668
H  23.703  25.405  10.130
H  25.196  24.478  9.992
H  26.986  25.260  10.342
H  27.384  26.938  10.626
C  23.380  26.957  7.018
O  23.866  26.477  6.001
N  22.227  26.523  7.625
N  24.079  27.852  7.749
H  21.840  27.190  8.272
H  21.623  25.959  7.051
H  23.612  28.210  8.578
H  24.868  28.342  7.373



No. 2
DFT (the ωB97M-V functional and the def2-TZVPD basis) results for a 2-piece molecular cluster, C26H30NO3 overall in a non-equilibrium geometry.

Results
2S+1: 2
Max |F| (eV/A): 1.14
E_LUMO (spin up / spin down) (Ha): -0.035 / -0.035
Total charge: 0
E_HOMO (spin up / spin down) (eV): -8.21 / -9.43
Orbital gap (spin up / spin down) (eV): 7.27 / 8.50

Geometry (Å):
C  0.104  5.296  -4.830
C  -0.972  4.557  -4.525
C  -1.216  3.900  -3.193
C  -0.299  2.688  -2.852
C  0.216  1.958  -4.082
C  0.992  0.664  -3.793
C  2.427  1.005  -3.362
C  1.047  -0.151  -5.098
N  0.319  -0.187  -2.778
O  0.900  -1.294  -2.540
C  -0.277  0.469  -1.593
C  0.783  0.820  -0.539
C  -1.249  -0.545  -0.959
C  -1.090  1.686  -2.027
H  0.875  5.475  -4.090
H  0.232  5.727  -5.813
H  -1.729  4.414  -5.289
H  -1.113  4.629  -2.388
H  -2.247  3.548  -3.149
H  0.557  3.066  -2.292
H  -0.620  1.719  -4.745
H  0.883  2.590  -4.665
H  3.014  1.281  -4.233
H  2.429  1.844  -2.665
H  2.907  0.166  -2.866
H  0.063  -0.218  -5.556
H  1.703  0.368  -5.796
H  1.466  -1.136  -4.919
H  1.193  1.818  -0.689
H  1.604  0.108  -0.555
H  0.323  0.809  0.446
H  -0.698  -1.384  -0.540
H  -1.928  -0.924  -1.720
H  -1.802  -0.072  -0.150
H  -1.898  1.316  -2.664
H  -1.530  2.134  -1.137
C  -2.552  -0.867  6.969
C  -2.678  -2.212  7.303
C  -1.945  -3.169  6.623
C  -1.088  -2.787  5.599
C  -0.972  -1.439  5.254
C  -1.703  -0.481  5.947
C  -0.085  -1.006  4.137
O  0.018  0.166  3.839
C  0.663  -2.056  3.393
C  1.462  -1.682  2.321
C  2.166  -2.641  1.613
C  2.085  -3.980  1.984
└──
Late Fees
A late fee of 1.5% of the owing balance will be automatically assessed at the end of each month. Late fees will only be reversed IF:
- All required documents were submitted to SFS before the last day of the add drop period.
- The third party payment was received within 60 days from the billing date.
- You had paid your portion of the net balance owed.
You will be unable to register for future quarters or obtain official academic transcripts or diplomas until your outstanding balance is paid in full.
If unpaid, the owing balance may be referred to a collection agency. You will be responsible for those additional fees of up to 40% or more added to your outstanding balance.
Student Responsibility
- If you are applying for or receiving financial aid you must report any third party payment to SFS. Third party payments are subject to the same federal reporting requirements as other financial aid and may affect aid offered.
- The Third Party cannot be invoiced any items that are not posted to your student account.
- SFS does not submit grades or transcripts. You are responsible for providing any additional information required by the sponsoring agency.
- It is your responsibility to notify SFS if there are changes to the terms of your contract.
- SFS only bills for students whose billing agreement includes the current term information.
- Some sponsors only pay approved courses and fees. It is your responsibility to determine what charges your sponsor plans to pay and know the requirements for you to receive their funds.
- You are responsible for paying your portion of the bill by the due date to avoid late payment fees.
When Payment is Received
Third party payments are processed through the Accounting and SFS offices as soon as they are received in the order they are received. After the payment is processed it will be posted to your student account (Eagle). You can check if the third party payment has been posted to your account by logging into your Eagle account at
If you do not see the third party payment posted on your account and there has been adequate time for processing, we may not have received the funds. Please contact your sponsor to ask about the status of your payment. If it has been sent, please allow time for us to receive and process the payment.
What comes next are molecular data, not part of the page >
/*
1.
Computed, not measured: a cluster of 2 separate species, C4H12 in total at a distorted geometry, with ωB97M-V/def2-TZVPD.

Output
ΔE to the lowest compared entry with this formula, charge and spin	7.4	kcal/mol
DFT total energy	-4342.2083	eV
orbital gap	12.73	eV

Bonds (Å) are listed after each position.
Element x y z (Å)
1 C 1.39 1.73 -1.00  C2 1.533, H3 1.092, H4 1.098, H5 1.091
2 C 2.57 1.43 -0.06  C1 1.533, H6 1.088, H7 1.092, H8 1.086
3 H 1.56 2.32 -1.90  C1 1.092
4 H 1.11 0.75 -1.41  C1 1.098
5 H 0.51 2.14 -0.51  C1 1.091
6 H 3.36 0.96 -0.64  C2 1.088
7 H 2.23 0.64 0.62  C2 1.092
8 H 2.82 2.32 0.51  C2 1.086
9 C -2.32 -2.19 0.32  C10 1.542, H11 1.092, H12 1.086, H13 1.087
10 C -1.61 -0.89 0.75  C9 1.542, H14 1.089, H15 1.098, H16 1.089
11 H -3.39 -2.00 0.33  C9 1.092
12 H -2.01 -2.47 -0.68  C9 1.086
13 H -2.17 -3.01 1.02  C9 1.087
14 H -1.32 -0.21 -0.06  C10 1.089
15 H -0.67 -1.23 1.20  C10 1.098
16 H -2.09 -0.29 1.52  C10 1.089

Quick look at the Mulliken charges, all values in e:
1 C -0.838
2 C -0.739
3 H 0.335
4 H 0.224
5 H 0.267
6 H 0.268
7 H 0.212
8 H 0.272
9 C -0.843
10 C -0.721
11 H 0.248
12 H 0.282
13 H 0.275
14 H 0.214
15 H 0.219
16 H 0.325

=====

2.
Computed, not measured: a cluster of 6 separate species, C18H50N2O6 in total at a distorted geometry, with ωB97M-V/def2-TZVPD.

Output
DFT total energy	-34741.2056	eV
orbital gap	9.92	eV

Bonds (Å) are listed after each position.
Element x y z (Å)
1 C 0.51 -2.58 5.78  O2 1.391, H7 1.088, H8 1.098, H9 1.097
2 O 0.46 -2.76 4.41  C1 1.391, C3 1.420
3 C 1.26 -3.86 4.00  O2 1.420, C4 1.498, H10 1.096, H11 1.106
4 C 1.24 -3.99 2.51  C3 1.498, C5 1.498, N6 1.479, H12 1.101
5 C 1.83 -5.30 2.10  C4 1.498, H13 1.086, H14 1.092, H15 1.095
6 N 2.06 -2.91 1.91  C4 1.479, H16 1.020, H17 1.023
7 H -0.21 -1.81 6.07  C1 1.088
8 H 1.51 -2.26 6.10  C1 1.098
9 H 0.26 -3.50 6.33  C1 1.097
10 H 2.29 -3.74 4.37  C3 1.096
11 H 0.85 -4.78 4.45  C3 1.106
12 H 0.20 -3.93 2.17  C4 1.101
13 H 1.87 -5.40 1.02  C5 1.086
14 H 1.27 -6.13 2.55  C5 1.092
15 H 2.85 -5.36 2.48  C5 1.095
16 H 1.58 -2.01 1.99  N6 1.020
17 H 2.07 -3.07 0.90  N6 1.023
18 C -1.66 1.39 -2.01  O19 1.405, H24 1.104, H25 1.099, H26 1.089
19 O -1.69 0.88 -3.32  C18 1.405, C20 1.389
20 C -1.47 1.87 -4.27  O19 1.389, C21 1.491, H27 1.101, H28 1.109
21 C -1.56 1.30 -5.64  C20 1.491, C22 1.524, N23 1.468, H29 1.104
22 C -0.60 0.13 -5.83  C21 1.524, H30 1.096, H31 1.093, H32 1.087
23 N -1.28 2.38 -6.59  C21 1.468, H33 1.016, H34 1.015
24 H -2.33 2.26 -1.90  C18 1.104
25 H -0.66 1.70 -1.67  C18 1.099
26 H -2.03 0.63 -1.32  C18 1.089
27 H -2.14 2.74 -4.16  C20 1.101
28 H -0.44 2.28 -4.17  C20 1.109
29 H -2.57 0.88 -5.79  C21 1.104
30 H 0.42 0.41 -5.55  C22 1.096
31 H -0.60 -0.15 -6.89  C22 1.093
32 H -0.87 -0.73 -5.23  C22 1.087
33 H -1.00 1.99 -7.49  N23 1.016
34 H -2.12 2.92 -6.78  N23 1.015
35 C -0.70 4.16 0.25  C36 1.495, H39 1.100, H40 1.092, H41 1.089
36 C -0.72 5.27 1.25  C35 1.495, C37 1.532, O38 1.427, H42 1.092
*/
Here the page continues >
If you have additional questions or need further information, please contact Cristhian Alvarado in Student Financial Services, by email or by phone 425-889-6174.